JANUARY 8, 2018

The Lonoke City Council held its regular council meeting in the administration room of City Hallat

6:00 p.m. on Monday, January 8, 2018. Mayor Wayne McGee called the meeting to order with the invocation given by Efrem Jones. Mayor McGee asked City Clerk, Jeribeth Edwards to call the roll. City Clerk Jeribeth Edwards called the roll and declared a quorum.

MayorWayne McGee

City ClerkJeribeth Edwards

TreasurerPhillip Howell

Deputy ClerkRegina Ibbotson

Council MembersEfrem Jones, Janie Derning, Raymond Hatton (absent),Pat Howell, Woody Evans, Michael Florence, KoyButler, andWendell Walker

City AttorneyGinger Stuart

Police ChiefRandy Mauk

W/S/S Supt.Jim Kelley/Jim Ed Ransom

C.C. DirectorMike Brown

Fire Dept.Justin Whitttenburg(absent)

Parks DirectorRoy Don Lewis

News MediaAllison Goodman,Lonoke Democrat

Jeffrey Smith, The Leader

VisitorsRobin Smith, Austin Rowton, Trae Reed, Ashley Reed, Walls McCrary,

Harold Boyles, Alice Bridges, Darrel Cox, Brook Knox, Hannah Harris

And Cindy Reaves


Mayor Wayne McGee asked for acceptance of the minutes and the special meeting minutes as recorded. Woody Evans and Koy Butlermadethe motion to accept the minutes as read.Raymond Hattonsecondedthe motion. Motion carried.

### The piece is interrupted by calculated crystals
-- begin --
# Na3TlAg

Crystalline Na3TlAg at its relaxed geometry (PBE, Alexandria).

Computed properties:
The excess energy over the best structure of this formula in the dataset is 0.91 eV per formula unit. As for the formation energy: 0.13 eV per atom.

```
data_Na3TlAg
_chemical_formula_sum 'Na3 Tl1 Ag1'
_symmetry_space_group_name_H-M 'P m -3 m'
_symmetry_Int_Tables_number 221
_symmetry_space_group_name_Hall '-P 4 2 3'
_cell_length_a 5.592
_cell_length_b 5.592
_cell_length_c 5.592
_cell_angle_alpha 90.00
_cell_angle_beta 90.00
_cell_angle_gamma 90.00
loop_
_atom_site_label
_atom_site_fract_x
_atom_site_fract_y
_atom_site_fract_z
Na1 0.000 0.000 0.500
Tl1 0.500 0.500 0.500
Ag1 0.000 0.000 0.000
```

=====

# Na2Tl2Ag

Crystalline Na2Tl2Ag at its relaxed geometry (PBE, Alexandria).

Computed properties:
The excess energy over the best structure of this formula in the dataset is 0.27 eV per formula unit. As for the formation energy: 0.00 eV per atom.

```
data_Na2Tl2Ag
_chemical_formula_sum 'Na4 Tl4 Ag2'
_symmetry_space_group_name_H-M 'P 4/m b m'
_symmetry_Int_Tables_number 127
_symmetry_space_group_name_Hall '-P 4 2ab'
_cell_length_a 7.541
_cell_length_b 7.541
_cell_length_c 5.044
_cell_angle_alpha 90.00
_cell_angle_beta 90.00
_cell_angle_gamma 90.00
loop_
_atom_site_label
_atom_site_fract_x
_atom_site_fract_y
_atom_site_fract_z
Na1 0.168 0.332 0.000
Tl1 0.144 0.644 0.500
Ag1 0.000 0.000 0.500
```

=====

# Na5Tl2Ag2

Crystalline Na5Tl2Ag2 at its relaxed geometry (PBE, Alexandria).

Computed properties:
As for the formation energy: 0.00 eV per atom.

```
data_Na5Tl2Ag2
_chemical_formula_sum 'Na20 Tl8 Ag8'
_symmetry_space_group_name_H-M 'C m c e'
_symmetry_Int_Tables_number 64
_symmetry_space_group_name_Hall '-C 2ac 2'
_cell_length_a 18.921
_cell_length_b 7.344
_cell_length_c 7.354
_cell_angle_alpha 90.00
_cell_angle_beta 90.00
_cell_angle_gamma 90.00
loop_
_atom_site_label
_atom_site_fract_x
_atom_site_fract_y
_atom_site_fract_z
Na1 0.000 0.000 0.000
Na2 0.123 0.180 0.320
Tl1 0.235 0.000 0.000
Ag1 0.000 0.129 0.630
```

=====

Repeat the third record exactly.
# Na5Tl2Ag2

Crystalline Na5Tl2Ag2 at its relaxed geometry (PBE, Alexandria).

Computed properties:
As for the formation energy: 0.00 eV per atom.

```
data_Na5Tl2Ag2
_chemical_formula_sum 'Na20 Tl8 Ag8'
_symmetry_space_group_name_H-M 'C m c e'
_symmetry_Int_Tables_number 64
_symmetry_space_group_name_Hall '-C 2ac 2'
_cell_length_a 18.921
_cell_length_b 7.344
_cell_length_c 7.354
_cell_angle_alpha 90.00
_cell_angle_beta 90.00
_cell_angle_gamma 90.00
loop_
_atom_site_label
_atom_site_fract_x
_atom_site_fract_y
_atom_site_fract_z
Na1 0.000 0.000 0.000
Na2 0.123 0.180 0.320
Tl1 0.235 0.000 0.000
Ag1 0.000 0.129 0.630
```

~~~~~

14
Lattice="-1.084 5.535 -0.132 -6.208 1.485 -7.254 -5.445 1.992 7.730" Properties=species:S:1:pos:R:3 comment="Pr3Ho8Er3 (PBE, relaxed)" delta_e_f_ev_per_atom=0.11 pbc="T T T"
Pr -0.542 2.768 -0.066
Pr -6.068 1.578 -4.506
Pr -5.585 1.899 4.982
Ho -8.503 7.003 1.733
-- stop --

PUBLIC COMMENT:Trae and Ashley Reed were present and presented the city council with the seasonal reservation of the downtown space for the 2018 Farmers Market. Mr. Reed mentioned they enjoyed Hosting the event in 2017 and would like to host again. Mr. Reed mentioned that there would be 18 Markets in 2018. He would like to see the event take place on the 1st and 3rd Saturday of every month and maybe a few holiday markets like Merry Thanks. Woody Evans made a motion to allow the Farmers Market to take place for 2018. Koy Butler seconded the Motion. Motion carried.

TECH STREAM- INTERNET PROVIDER: No one was present from Tech Stream. Ginger Stuart mentioned

She sees no reason that the city could not allow the internet provider to put an antenna on top of the water tower. Woody Evans made a motion to proceed with drawing up a contract. Janie Derning seconded the motion. Motion carried.

FIRE DEPARTMENT: Justin Whittenburg was absent. Brook Knox was present and gave report. Mr. Knox asked the council for permission to pay Grace Communications Inc., North Little Rock Ar. The cost of of the invoice includes moving the existing repeater and antenna from the water town to the courthouse and then movingit back to the water tower. It also includes replacing the coax with 7/8 coax and connector and the cost of the crane that needed to be rented. The total cost is $6,671.05. Koy Butler made a motion to get all of the above done. Pat Howell seconded the motion. Motion carried.


Water: Jim Kelley was present and gave report. Mr. Kelley mentioned that he would like to pay the $7,447.97purchase of the pump from Tencarva that was previously already approved out of the 2003 Depreciation Fund. Pat Howell made a motion to pay it out of that account. Janie Derning seconded the motion. Motion carried.

Street: Jim Ed Ransom was present and gave report. Mr. Ransom mentioned that he is starting the street sign project. The signs come 50 per bundle. He would like to purchase 2 bundles to get started. The total cost is $2,354.25. Efrem Jones made a motion to purchase the signs. Wendell Walker seconded the motion. Motion carried. Mayor McGee mentioned that the city has a chance to apply for a grant to get sidewalks through Metroplan. He would like to continue to the sidewalks around the school.

POLICE DEPARTMENT: Chief Randy Mauk was present and gave report. He mentioned that $8,910.00 was billed to immigration and Probation/Parole. Mr. Mauk mentioned that he would like to replace three tasers. He had a bill from Axon Enterprise, Inc. from Scottsdale, Arizona. The cost is $4,982.07. Janie Derning made a motion to purchase the tasers. Michael Florence seconded the motion. Motion carried.

PARKS/MOSQUITO: Mr. Roy Don Lewis waspresent. Mr. Lewis mentioned that registration for baseball and softball will be going on every Saturday of February. He also mentioned that the extension for the walking trail will start soon.

COMMUNITY CENTER: Mr. Mike Brown was present and gave report. The activities going on this month is a Driver’s Test, Baptist Health Checks, and Close out of basketball and “90 days of Action”. Mr. Brown had some estimates for new treadmills. He had quotes from Your Total Fitness from Little Rock AR - $56,217.30, Second Chance Fitness from Cabot AR for $55,871.28, and Advanced Exercise from Littleton, Colorado – for $53,131.20 (sales tax wasn’t included in quote). After looking at the quotes, Koy Butler made a motion to purchase the treadmills from Second Chance Fitness from Cabot AR for the amount of $55,871.28. Michael Florence seconded the motion. Motion carried. Second Chance is part of the TIPS/TAPS purchasing cooperative for the State of Arkansas.


  1. Resolution to “Condemn Property at 214 E. 11th Street- Roberts: Woody Evans made a motion to give this property until March meeting. Janie Derning seconded the motion. Motion carried.
  2. Resolution9-1-2017 to "Condemn Property at 509 Reynolds"- WendellThis property will be torn down as soon as the weather permits.


1.Mallard Point Golf: Janie Derningmade amotion to give this property until next meeting. Woody Evans seconded the motion. Motion carried.

2.Chapman-319 W. 3rd Street: Ginger Stuart mentioned that this property looks well and it appears to be listed with a realtor. Janie Derning made a motion to remove this property from the list. Woody Evans seconded the motion. Motion carried.

3.Grimes-104 Willow Loop- Ginger Stuart will send letter and report back to council on the special meeting, January 29th. Woody Evans made a motion to wait until the 29th. Janie Derning seconded the motion. Motion carried.

4.Davis- 502 Barnes-Ginger Stuart will send letter and report back to council on the special meeting, January 29th. Woody Evans made a motion to wait until the 29th. Janie Derning seconded the motion. Motion carried.

5.Privett- 5th street apartments- Ginger Stuart will send letter and report back to council on the special meeting, January 29th. Woody Evans made a motion to wait until the 29th. Janie Derning seconded the motion. Motion carried.

C. New Properties to Consider for Condemnation


2. COLE- 217 HARRISON– Ginger Stuart will send letter and report back to council on the special meeting, January 29th. Woody Evans made a motion to wait until the 29th. Janie Derning seconded the motion. Motion carried.

3. CANNON- 208 HARRISON: The owner is tearing this property down.

4. MARSHALL- 218 HARRISON:The owner is tearing this property down.

5. SPRING- 317 HARRISON ENGLAND –Woody Evans made amotion to give this property until next meeting. Wendell Walker seconded the motion. Motion carried.

6. CUMMINGS- 221 VASSER LANE- –Ginger Stuart will send letter and report back to council on the special meeting, January 29th. Woody Evans made a motion to wait until the 29th. Janie Derning seconded the motion. Motion carried.

7. GENTRY- 719 S. CENTER- Woody Evans made amotion to give this property until next meeting. Wendell Walker seconded the motion. Motion carried.

8. BELLO-319 REYNOLDS STREET- Ginger Stuart will send letter and report back to council on the special meeting, January 29th. Woody Evans made a motion to wait until the 29th. Janie Derning seconded the motion. Motion carried.


  1. Ordinance #732“An Ordinance Requiring Independent Candidates to File for office no later than noon on the day before the preferential primary election”- Efrem Jones made the motion to put Ordinance No. 732 on the floor. Janie Derning seconded the motion. Motion carried. Ginger Stuart read Ordinance No. 732 in its entirety. Janie Derning made the motion to accept the 1st reading of Ordinance No. 732. Efrem Jones seconded the motion. Motion carried with (7) aye hand votes. Efrem Jones made the motion to suspend the rules- 2nd reading- title only. Wendell Walker seconded the motion. Motion carried with (7) aye voice votes. Ginger Stuart read Ordinance No. 732- title only- 2nd reading. Efrem Jones made the motion to accept the 2nd reading-title only- of Ordinance No. 732. Woody Evans seconded the motion. Motion carried with (7) aye hand votes. Efrem Jones made the motion to suspend the rules-3rd reading-title only. Wendell Walker seconded the motion. Motion carried with (7) aye voice votes. Ginger Stuart read Ordinance No. 732- title only – 3rd reading. Janie Derning made the motion to accept the 3rd reading- title only Ordinance No. 732. Woody Evans seconded the motion. Motion carried with (7) aye hand votes. Efrem Jones made a motion to accept the emergency clause. Wendell Walker seconded the motion. Motion carried.
  1. Quote from Smith Construction for Indoor Repairs from Roof/Water leak on Dr. Holmes office- Mayor McGee had a proposal from Smith Construction from Lonoke AR. The proposal is to replace all floor tile and all damaged plywood in house. Replace all damaged ceiling tile and sheetrock ceilings. Replace or repair damaged doors and baseboards and trim. Also to paint all repaired work. Mayor mentioned that he would like to get a quote for the roof repairs before the city spends the money on fixing all the inside problems. Wendell Walker doesn’t like the idea of having all of this work done and not knowing what is going to be done to the house. Woody Evans made a motion to put the roof repairs out for bid. Wendell Walker seconded the motion. Motion carried.

PAY THE BILLS: Pat Howellmade a motion to pay bills. Janie Derningseconded the motion. Motion carried.


City General$180, 990, 26



Community Center$21,786.49

Retail One Cent $4,679.49

Criminal Justice$1,374.86

Advertising Promotion$50.00

IDC One Cent$2,026.25

Street 1 Cent$2,492.50

2003 Depreciation Fund$107,605.20


General Fund $11,557.95

Water O&M$17,296.95


Community Center$2,541.71

Criminal Justice$361.66

2003 Depreciation Fund$7,447.90

Court Automation$763.00

ADJOURN: Woody Evansmade a motion to adjourn. Janie Derningseconded the motion. Motion carried.


Mayor Wayne McGee



City Clerk